Did you know that moving premises could affect your credit score? How? If you don’t report it swiftly to Companies House, announce it on social media sites or register it with relevant address directories, people will start wondering whether you’ve gone bust and asking questions about your company. And if someone else takes over your previous location, your credit score could get mixed up with theirs, which may not be good.
-- Misplaced molecular data --
=====
[1]
ORCA calculation (ωB97M-V/def2-TZVPD) on a molecular structure, C29H41N6Si2V at a distorted geometry.

Atoms and positions in Å:
1 V 0.28 0.04 0.25
2 C -3.79 -1.20 -0.28
3 C -3.86 -2.33 0.53
4 C -2.78 -2.65 1.33
5 C -1.64 -1.86 1.31
6 N -1.59 -0.75 0.53
7 C -2.65 -0.44 -0.24
8 C -0.40 -2.13 2.06
9 C -0.32 -3.10 3.05
10 C 0.88 -3.29 3.72
11 C 1.97 -2.48 3.42
12 C 1.87 -1.51 2.43
13 C 0.69 -1.33 1.70
14 H -4.61 -0.92 -0.93
15 H -4.74 -2.95 0.54
16 H -2.81 -3.53 1.96
17 H -2.55 0.45 -0.85
18 H -1.18 -3.70 3.32
19 H 0.96 -4.05 4.49
20 H 2.89 -2.59 3.97
21 H 2.72 -0.88 2.24
22 C -0.65 3.90 -0.78
23 C -0.69 2.76 -1.75
24 C -1.07 2.93 -3.07
25 C -0.97 1.86 -3.94
26 C -0.51 0.63 -3.50
27 C -0.17 0.52 -2.16
28 N -0.28 1.56 -1.31
29 N 0.31 -0.62 -1.49
30 Si 0.46 -2.22 -2.27
31 C -1.18 -2.73 -2.99
32 C 1.76 -2.14 -3.58
33 C 0.91 -3.47 -0.96
34 H 0.29 4.45 -0.93
35 H -0.67 3.55 0.25
36 H -1.47 4.59 -0.95
37 H -1.41 3.90 -3.41
38 H -1.25 1.98 -4.98
39 H -0.40 -0.21 -4.18
40 H -1.49 -2.15 -3.86
41 H -1.98 -2.67 -2.24
42 H -1.09 -3.78 -3.30
43 H 1.62 -1.31 -4.28
44 H 1.76 -3.07 -4.15
45 H 2.76 -2.03 -3.14
46 H 0.02 -4.02 -0.63
47 H 1.39 -3.04 -0.09
48 H 1.60 -4.21 -1.40
49 N -3.38 2.98 0.34
50 N -2.65 2.17 1.27
51 H -4.04 3.59 0.81
52 H -3.91 2.37 -0.27
53 H -3.27 1.77 1.98
54 H -1.99 2.77 1.75
55 C 3.10 1.90 -1.73
56 Si 3.24 0.95 -0.14
57 C 4.62 1.59 0.92
58 C 3.63 -0.84 -0.47
59 N 1.66 1.06 0.73
60 C 1.40 2.09 1.68
61 C 2.02 3.34 1.61
62 C 1.68 4.34 2.50
63 C 0.73 4.13 3.48
64 C 0.11 2.89 3.57
65 C 0.44 1.88 2.68
66 H 4.05 1.87 -2.27
67 H 2.85 2.95 -1.55
68 H 2.33 1.48 -2.38
69 H 5.51 0.98 0.72
70 H 4.40 1.52 1.99
71 H 4.88 2.63 0.70
72 H 4.38 -0.88 -1.27
73 H 2.77 -1.43 -0.79
74 H 4.06 -1.31 0.41
75 H 2.75 3.53 0.83
76 H 2.17 5.31 2.42
77 H 0.48 4.91 4.19
78 H -0.62 2.70 4.35
79 H -0.02 0.90 2.79

- total charge = +1
- 2S+1 = 2
- lowest unoccupied orbital energy (spin up / spin down) (eV) = -3.41 / -3.17
- ⟨S²⟩ = 0.79
- gap between HOMO and LUMO (spin up / spin down) (eV) = 7.520 / 7.895

[2]
ORCA calculation (ωB97M-V/def2-TZVPD) on a molecular structure, C38H47N4O3PrS3Se2 at a distorted geometry.

Atoms and positions in Å:
1 Pr -0.06 -0.89 -0.09
2 C 5.74 -1.11 -1.71
3 S 5.13 -2.33 -0.53
4 C 3.50 -1.69 -0.12
5 S 2.93 -0.18 -0.57
6 N 2.98 -2.58 0.69
7 N 1.78 -2.24 1.20
8 C 1.55 -2.80 2.30
9 C 0.36 -2.50 3.09
10 C 0.21 -3.09 4.34
11 C -0.83 -2.66 5.13
12 C -1.66 -1.65 4.66
13 C -1.49 -1.15 3.38
14 N -0.48 -1.55 2.60
15 H 6.84 -1.14 -1.59
16 H 5.37 -0.13 -1.44
17 H 5.47 -1.38 -2.71
18 H 2.29 -3.45 2.80
19 H 0.94 -3.83 4.66
20 H -0.96 -3.07 6.12
21 H -2.45 -1.25 5.26
22 H -2.14 -0.38 2.97
23 O -3.91 -4.08 -1.60
24 C -4.12 -2.77 -1.03
25 C -4.01 -2.84 0.50
26 C -5.21 -3.61 1.09
27 O -6.50 -3.05 0.86
28 C -4.04 -1.40 1.11
29 Se -2.88 0.06 0.43
30 C -2.78 -3.66 1.00
31 Se -1.15 -3.66 -0.05
32 H -2.94 -4.15 -1.59
33 H -5.15 -2.41 -1.25
34 H -3.46 -2.02 -1.44
35 H -4.97 -3.70 2.15
36 H -5.31 -4.58 0.65
37 H -6.50 -2.16 1.17
38 H -3.95 -1.53 2.18
=====
-- The molecular data stop here --
Everyone knows that a poor credit rating affects your chances of securing funding, but it’s not just for the banks that you need a good credit score. If you want credit from suppliers or to get the most advantageous deals on your telephones or your utilities, you need a good credit rating. So how can you get and keep one?
What you Can Do
Communicate with the credit agencies. Check the information they have on you and your business to make sure it is accurate. If not, get it fixed. Ask them for tips on how to raise your score if needed.
Make all business payments on time. If this is not possible, talk to the suppliers involved and try to negotiate new terms that you can stick to. Ask suppliers for their perception of your payment history, and share aspects that make you feel proud on a blog or on social media sites.
The Historical Aspect
1.
C8H13N4O5W | the ωB97M-V functional and the def2-TZVPD basis

Results
LUMO: -14.7 eV
Strongest force on any atom: 3.796 eV/A
Orbital gap: 6.8 eV
E_HOMO: -21.51 eV
Net charge: +3
E: -26493.6511 eV
Energy above the lowest of the compared OMol25 structures with the same formula, charge and spin: 340.8 kJ/mol

Geometry (Å):
1 W 0.15500 -0.61600 0.32110
2 N 0.52290 0.90350 -1.37090
3 C 1.90190 1.50260 -1.22370
4 C 2.40490 1.39350 0.23310
5 O 3.11300 2.15440 0.78890
6 N 1.86330 0.20590 0.80330
7 C 2.06880 0.00520 2.26180
8 C 0.71170 -0.65250 2.34080
9 O 0.55720 -1.83040 1.89290
10 O -0.32360 0.08350 2.09220
11 H -0.13780 1.70850 -1.37690
12 H 0.46470 0.52970 -2.34250
13 H 2.62490 0.97920 -1.86530
14 H 1.91750 2.56430 -1.50700
15 H 2.91030 -0.66490 2.49600
16 H 2.16820 0.96060 2.80730
17 C -4.13420 -1.52320 -0.19400
18 C -2.69340 -1.29880 -0.20610
19 N -2.01370 -0.20100 0.06320
20 O -2.53400 1.01480 0.36130
21 C -1.63800 -2.34290 -0.45720
22 C -1.63330 -3.70650 0.02780
23 N -0.59620 -1.74960 -1.04280
24 O 0.65130 -2.16120 -0.66070
25 H -4.70350 -0.65220 -0.53090
26 H -4.49530 -1.74700 0.82100
27 H -4.41640 -2.38780 -0.79840
28 H -3.51480 1.06880 0.45910
29 H -2.45960 -3.93980 0.70150
30 H -0.64550 -3.96880 0.46090
31 H -1.70310 -4.41870 -0.81990



2.
C30H60Br6O6 | the ωB97M-V functional and the def2-TZVPD basis

Results
LUMO: 0.2 eV
Strongest force on any atom: 3.396 eV/A
Orbital gap: 9.7 eV
E_HOMO: -9.51 eV
Net charge: 0
E: -464616.4801 eV

Geometry (Å):
1 C -4.75233 8.18799 -0.62242
2 C -4.91930 6.83827 -1.29432
3 C -5.48624 7.25631 -2.67507
4 O -5.07357 8.61989 -2.86501
5 C -4.26657 9.03203 -1.76283
6 H -4.06434 8.13831 0.22157
7 H -5.68179 8.57402 -0.20389
8 H -5.53693 6.25209 -0.61387
9 H -3.87040 6.54633 -1.24252
10 H -6.57119 7.16196 -2.72077
11 H -5.12188 6.57724 -3.44591
12 H -4.23894 10.10548 -1.57563
13 H -3.23483 8.84652 -2.06147
14 C 6.25498 -0.49394 -2.78793
15 C 7.24484 0.15344 -1.83171
16 C 6.90242 -0.44237 -0.47797
17 O 6.29770 -1.71234 -0.83028
18 C 6.12913 -1.97017 -2.25335
19 H 6.55570 -0.38223 -3.82966
20 H 5.35608 0.10030 -2.62374
21 H 7.29945 1.24129 -1.79048
22 H 8.27263 -0.11695 -2.07386
23 H 6.13717 0.20253 -0.04601
24 H 7.82755 -0.53392 0.09113
25 H 5.09757 -2.28590 -2.40918
26 H 6.83499 -2.68216 -2.68105
27 C -4.80097 0.64803 -6.26930
28 C -4.87030 -0.88305 -6.16445
29 C -4.56488 -1.26409 -4.68816
30 O -5.28540 -0.21789 -4.12559
31 C -5.18312 0.98427 -4.86700
32 H -5.55791 1.14002 -6.88012
33 H -3.76765 0.97823 -6.37563
34 H -4.29295 -1.33883 -6.96883
35 H -5.92283 -1.15819 -6.23208
36 H -3.54006 -1.09052 -4.35999
37 H -4.93433 -2.23120 -4.34714
38 H -4.44199 1.67168 -4.45918
39 H -6.08586 1.56392 -4.67427
40 C -3.17389 -6.19736 1.79924
41 C -4.26409 -5.42853 1.02901
42 C -3.51614 -4.17066 0.71168
43 O -2.25883 -4.54157 0.37626
44 C -1.94949 -5.84562 0.98074
45 H -3.48889 -7.23274 1.66945
46 H -3.28166 -5.86132 2.83053
47 H -5.10814 -5.16124 1.66481
48 H -4.70749 -5.86695 0.13500
49 H -3.54475 -3.40897 1.49085
[The article goes on]
Do you have a good entrepreneurial history? Credit agencies look at directors and business owners and what they have already been involved with. If you are new to the business world, you may be wise to get someone else on board who can provide a solid business history.
New Customers and Suppliers
Don’t get burnt by late paying customers. Before you issue credit, you should check the credit rating of any new ones. If they don’t pay you on time, it may affect your ability to pay your debts, so you get caught in the credit score downward spiral too.
If you go to new suppliers who want you to pay upfront, make sure they are creditworthy before you part with your money. If they go under before you got what you paid for, you could be left without the supplies you are expecting. You’ll have to fork out again if they are crucial to your business and you’ll still have to wait for them, possibly putting you in your customers’ bad books for not being able to deliver on time, and other suppliers’ if you don’t have the wherewithal to pay them on time.
Your outsourced bookkeepers have lots of contacts in the business world. Ask them to let you know what they’ve heard about you, and where you should take care before committing time and money.